When Tristan was in kindergarten, when you asked him what he wanted to be when he grew up, his answer was always a scientist. He had dreams of grandeur involving fast cars and magical devices he would create that would make time travel possible, or space travel possible or things blow up in a messy fashion. There was no limit to the things he could do with science, because at its core is math and he had been raised to believe math is easy.
It started when he was eighteen months old. We were visiting a friend who is an educator and she said that math is made more difficult for kids because they are told over and over that math is hard. They internalize that fact and so when they start math in pre-school and kindergarten, they expect to struggle and since parents were also raised on the idea that math is hard, they expect their kids to struggle. It’s a self-fulfilling cycle. My friend started teaching Tristan that math was easy at eighteen months.
J: “Tristan, are you ready for a math problem?”
T: “Yes.”
J: “Ok, listen carefully, there is a parking lot with a 100 cars in it.” Tristan nods. “4o of them are blue, and twenty of them are yellow. The rest are red. Are you ready for your math question?”
T: “Yes.”
[Inserted here: records of crystals]
-- begin --
SiH2 after structural relaxation. Source: the Materials Project database, functional PBE. Values from VASP.

Geometry as Quantum ESPRESSO input:
```
&SYSTEM
  ibrav = 0, nat = 30, ntyp = 2
/
ATOMIC_SPECIES
H 1.01 H.upf
Si 28.09 Si.upf
ATOMIC_POSITIONS angstrom
H 12.123 4.288 0.140
H 7.967 1.602 4.305
H 10.416 3.628 2.778
H 1.024 5.070 3.001
H 5.920 5.070 3.001
H 12.864 1.602 4.305
H 3.472 1.533 2.649
H 0.468 3.009 1.871
H 8.708 4.288 0.140
H 8.772 1.200 1.104
H 7.412 3.663 5.434
H 13.419 3.663 5.434
H 5.115 5.472 6.201
H 6.475 3.009 1.871
H 12.059 1.200 1.104
H 3.472 3.044 4.527
H 1.828 5.472 6.201
H 1.765 2.384 7.165
H 5.179 2.384 7.165
H 10.416 5.139 4.657
Si 2.295 4.948 0.049
Si 3.472 2.985 3.033
Si 5.381 4.007 2.089
Si 12.325 2.665 5.217
Si 11.593 1.724 7.256
Si 8.506 2.665 5.217
Si 1.563 4.007 2.089
Si 4.649 4.948 0.049
Si 9.238 1.724 7.256
Si 10.416 3.687 4.273
CELL_PARAMETERS angstrom
13.887 0.000 0.000
0.000 5.311 0.000
0.000 1.361 7.305
```

Values from the calculation:
Energy relative to the elements: -0.069 eV/atom
E_tot: -120.59 eV/cell
E (MP2020): -4.14 eV per atom

LaMg4Cu after structural relaxation. Source: the Materials Project database, functional PBE. Values from VASP.

Geometry as Quantum ESPRESSO input:
```
&SYSTEM
  ibrav = 0, nat = 18, ntyp = 3
/
ATOMIC_SPECIES
Mg 24.30 Mg.upf
La 138.91 La.upf
Cu 63.55 Cu.upf
ATOMIC_POSITIONS angstrom
Mg 3.999 1.642 2.267
Mg 3.999 -1.642 2.267
Mg 0.859 1.487 2.267
Mg 4.589 -4.665 2.267
Mg 4.589 4.665 2.267
Mg 6.912 2.642 2.267
Mg 3.861 6.688 0.000
Mg 8.616 0.000 2.267
Mg 3.861 -6.688 0.000
Mg 2.611 0.000 0.000
Mg 6.912 -2.642 2.267
Mg 0.859 -1.487 2.267
La 2.106 -3.647 0.000
La 6.122 0.000 0.000
La 2.106 3.647 0.000
Cu 5.167 -2.983 0.000
Cu 5.167 2.983 0.000
Cu 0.000 0.000 0.000
CELL_PARAMETERS angstrom
5.167 -8.949 0.000
5.167 8.949 0.000
0.000 0.000 4.534
```

Values from the calculation:
Energy relative to the elements: -0.132 eV/atom
E_tot: -48.69 eV/cell

LuZn12 after structural relaxation. Source: the Materials Project database, functional PBE. Values from VASP.

Geometry as Quantum ESPRESSO input:
```
&SYSTEM
  ibrav = 0, nat = 13, ntyp = 2
/
ATOMIC_SPECIES
Zn 65.41 Zn.upf
Lu 174.97 Lu.upf
ATOMIC_POSITIONS angstrom
Zn 1.897 0.000 2.701
Zn 0.000 1.897 2.701
Zn -2.178 2.178 1.350
Zn 2.178 -2.178 1.350
Zn 4.356 2.460 0.000
Zn 2.460 4.356 0.000
Zn 3.056 0.000 0.000
Zn 5.656 0.000 0.000
Zn 2.178 2.178 -1.350
Zn 0.000 3.056 0.000
Zn 0.000 5.656 0.000
Zn 2.178 2.178 1.350
Lu 0.000 0.000 0.000
CELL_PARAMETERS angstrom
-4.356 4.356 2.701
4.356 -4.356 2.701
4.356 4.356 -2.701
```

Values from the calculation:
Energy relative to the elements: -0.158 eV/atom
E_tot: -21.69 eV/cell

Li7VAs4 after structural relaxation. Source: the Materials Project database, functional PBE. Values from VASP.

Geometry as Quantum ESPRESSO input:
```
&SYSTEM
  ibrav = 0, nat = 24, ntyp = 3
/
ATOMIC_SPECIES
As 74.92 As.upf
Li 6.94 Li.upf
V 50.94 V.upf
ATOMIC_POSITIONS angstrom
As -0.127 11.346 6.178
-- stop --
J: “What is your name?”
T: “Tristan!”
J: “Good job, See? Math is easy.”
We continued that process for years, right up until he started in first grade, and then the ground work we had laid came to fruition. Math was easy. I really loved the math process at the school he was attending. They had a page of math that they did every day. They completed the front page in class and the back page at home. The page had a counting and tallying problem, a graphing problem, an addition problem (which progressed in difficulty as they went up in grade), a word problem, a geometry problem and a money problem. One of every kind of math he might experience. They were easy for him. He excelled at math in first grade.

Crazy Horse Monument, Black Hills, SD
Can I tell you that the most influential person in your child’s life, after their parents, are their teachers. We ran into our first roadblock in second grade and although I have no proof, I believe Tristan’s issues stemmed from the fact that he had two moms. He was in a second grade class that operated in a very fucked up manner, excuse my French. The teacher had the kids arranged in five rows of five students. Every day she would call up a row to drop off their math homework, sometimes two rows. She never picked Tristan’s row. She would rotate the students every week and go through the same process. By the time I was fed up with the amount of homework he had in his backpack, Tristan had sixty pages of math he was supposed to be keeping organized and zeros on all the assignments. He got pretty tired of me asking if he had been called to turn in his work. By the time I figured out what she was doing, it took us over an hour after school to organize and turn in all of the paperwork. She said it must have been an oversight on her part that he was never called up. It had been more than two months. Shortly after that, he was sitting in our bed working on his homework and suddenly said to himself “you are so stupid.” I was flabbergasted because we knew he had never heard those kind of words from us. I was in the principle’s office the next morning and he was pulled from the class.
In seventh grade, he had a math teacher that he did not mesh with. Part of the issue was her very strong accent, which he struggled to understand, and partly it was her attitude toward the students in her class. This generation understands respect and cooperation, but they will not tolerate being bullied, especially by people in positions of authority. This woman used derogatory language, passive aggressive approaches and dismissive, disrespectful attitude. Tristan had a real problem with her approach. He was not the only one. There were a group of students that did not do well in her class, all of which were considered “advanced” math students, so that group was pulled out and put in a study hall where they did their math as a self-directed, self-taught math class. Basically, math was an independent study in seventh grade. They had each other to help, and the math program was an online study program, so I got access to the website and taught Tristan myself. It went okay, however, I was not cut out to really be a teacher and never had the desire to homeschool, plus math is not my strong suit. But we got him through with solid A’s, which landed him in the Honors class in eighth grade.
In eight grade it did not bode well when I told the teacher he had been in basically an independent study the prior year, and she responded by saying that was great since she was pretty hands off in her teaching style. This was an Honors Math class, which was a Freshman level Algebra class for HS credit, and it did not mesh well with him. He did okay until the final exam, but he really didn’t excel the way he had earlier in his math process. It think that due to his earlier experiences with math specifically, he was finding the self-taught path difficult to manage, especially as the math got harder. It was his first C in any class up to that point.
But then he met Ms Stewart. She was his geometry teacher and under her tutelage he excelled. He loved geometry and his confidence began to rebound. He knew math was easy and once again he was finding it so. She was an amazing woman and one of the main reasons he finished HS. Freshman year was awesome in the math department, and his desire to be a scientist soared. She taught exactly the way he learned and he seems to have a knack for geometry, remembering the formulas and intuitively understanding the math. Life was good again.
Then, in his sophomore year, he took Algebra II Honors with a teacher who had a flipped classroom. This meant that the students were given a study guide they were supposed to follow, with test dates and homework assignments. They were to watch math videos at home and learn the math, then come into class to do the homework. The teacher than went from student to student and spent two or three minutes a class helping them with any problem they might have. It was an unmitigated cluster fuck of a classroom, with no shared classroom teaching experience, since Tristan was trying to stick to the schedule he had been given. He started going to Ms Stewart’s classroom at the end of school and getting her help to understand the math. He worked hard, but it never really sank in and he barely passed the class. His understanding and comprehension of Algebra was damaged, as was his self-confidence.
The following year, he took the most difficult math class on the school schedule and excelled. Trig and Pre-Calc was a cinch, since he was back in Ms Stewarts class and he passed a much harder math class with high A’s. I tell you, a teacher can make or break a student.
In his senior year of High School, he decided to become an Aerospace Systems Engineering Technology major and build rockets for Space X. Guess what that requires? You got it - Algebra. It is a Core Math class that all students have to pass. Guess who struggled with it his first semester?
College Algebra. Not for the faint of heart.
Let’s just say, it would have been better for all of us if he had withdrawn from class before the last drop date. We missed it by one day. At the point that he tried to drop, he had a 30% in the class and had zero hope of passing. We determined that there was no way at that point he could bring his grade up and so he stopped going to class. We reenrolled him in the same class this semester and I promised to help him figure out the math. One way or another. Have I mentioned that I struggled with Algebra for Business (a watered down version) when I was in school? I am determined to figure it out and drag him screaming through this class.
I have helped him review the math he has been taught so far. We have worked through most of Chapter One. It’s been hard finding the time to go over it because schedules have been really upside down, but so far he has scored a 90% and a 100% on his two quizzes. He had another quiz yesterday and so the night before we needed to review. He was working until almost eleven and I have to be up at 5:30. It didn’t work out to review on Friday (his other day off) because we were both fried and brain dead at the end of the trip to Vail. I went to sleep on the couch about 8 pm, woke up when he got home and helped him review for almost two hours. By that time we were both tired and making stupid mistakes with the math, so it was time to be done. I was not confident that we had reviewed enough for him to be solid in his understanding, but I have come to the conclusion that he KNOWS how to do the math. He knows. The biggest issue is that he does it in his head, or he skips steps, or sometimes he really is genuinely confused by a process, but once shown he has it down. I hoped for the best, knowing we really didn’t have time to do any more.

Next to the piece, the page also holds materials data
Entry 1:
Compound: Pr4In8Ni7
Source: the Materials Project
Functional: GGA-PBE
Structure: optimized geometry

Computed properties:
symmetry = Cmmm (65)
ΔE_f = -0.38 eV/atom

```
Pr4In8Ni7
1.0
7.3580 -12.0440 0.0000
7.3580 12.0440 0.0000
0.0000 0.0000 4.3568
Pr In Ni
8 16 14
Direct
0.1060 0.8940 0.0000 Pr
0.1513 0.5052 0.5000 Pr
0.3159 0.3159 0.5000 Pr
0.4948 0.8487 0.5000 Pr
0.5052 0.1513 0.5000 Pr
0.6841 0.6841 0.5000 Pr
0.8487 0.4948 0.5000 Pr
0.8940 0.1060 0.0000 Pr
0.0000 0.0000 0.5000 In
0.0577 0.6258 0.0000 In
0.1308 0.3187 0.0000 In
0.2228 0.7772 0.5000 In
0.3102 0.6898 0.0000 In
0.3187 0.1308 0.0000 In
0.3742 0.9423 0.0000 In
0.4135 0.5865 0.5000 In
0.5000 0.5000 0.0000 In
0.5865 0.4135 0.5000 In
0.6258 0.0577 0.0000 In
0.6813 0.8692 0.0000 In
0.6898 0.3102 0.0000 In
0.7772 0.2228 0.5000 In
0.8692 0.6813 0.0000 In
0.9423 0.3742 0.0000 In
0.0159 0.7083 0.5000 Ni
0.0892 0.1977 0.5000 Ni
0.1221 0.1221 0.0000 Ni
0.1977 0.0892 0.5000 Ni
0.2917 0.9841 0.5000 Ni
0.3098 0.4994 0.0000 Ni
0.4994 0.3098 0.0000 Ni
0.5006 0.6902 0.0000 Ni
0.6902 0.5006 0.0000 Ni
0.7083 0.0159 0.5000 Ni
0.8023 0.9108 0.5000 Ni
0.8779 0.8779 0.0000 Ni
0.9108 0.8023 0.5000 Ni
0.9841 0.2917 0.5000 Ni
```



Entry 2:
Compound: PrInNi
Source: the Materials Project
Functional: GGA-PBE
Structure: optimized geometry

Computed properties:
symmetry = P-62m (189)
ΔE_f = -0.44 eV/atom

```
PrInNi
1.0
7.6005 0.0000 0.0000
-3.8003 6.5822 0.0000
0.0000 0.0000 3.9892
Pr In Ni
3 3 3
Direct
0.0000 0.4125 0.0000 Pr
0.4125 0.0000 0.0000 Pr
0.5875 0.5875 0.0000 Pr
0.0000 0.7527 0.5000 In
0.2473 0.2473 0.5000 In
0.7527 0.0000 0.5000 In
0.0000 0.0000 0.0000 Ni
0.3333 0.6667 0.5000 Ni
0.6667 0.3333 0.5000 Ni
```



Entry 3:
Compound: Pu2InNi2
Source: the Materials Project
Functional: GGA-PBE
Structure: optimized geometry

Computed properties:
symmetry = P4/mbm (127)
ΔE_f = 0.44 eV/atom

```
Pu2InNi2
1.0
7.3246 0.0000 0.0000
0.0000 7.3246 0.0000
0.0000 0.0000 3.4815
Pu In Ni
4 2 4
Direct
0.1653 0.3347 0.0000 Pu
0.3347 0.8347 0.0000 Pu
0.6653 0.1653 0.0000 Pu
0.8347 0.6653 0.0000 Pu
0.0000 0.0000 0.5000 In
0.5000 0.5000 0.5000 In
0.1326 0.6326 0.5000 Ni
0.3674 0.1326 0.5000 Ni
0.6326 0.8674 0.5000 Ni
0.8674 0.3674 0.5000 Ni
```



Entry 4:
Compound: In2NiS4
Source: the Materials Project
Functional: GGA-PBE
Structure: optimized geometry

Computed properties:
symmetry = Fd-3m (227)
ΔE_f = -0.67 eV/atom

```
In2NiS4
1.0
0.0000 5.2835 5.2835
5.2835 0.0000 5.2835
5.2835 5.2835 0.0000
In Ni S
4 2 8
Direct
0.0000 0.0000 0.0000 In
0.0000 0.0000 0.5000 In
0.0000 0.5000 0.0000 In
0.5000 0.0000 0.0000 In
0.3750 0.3750 0.3750 Ni
0.6250 0.6250 0.6250 Ni
0.2503 0.2503 0.2503 S
0.2503 0.2503 0.7490 S
0.2503 0.7490 0.2503 S
0.2510 0.7497 0.7497 S
0.7490 0.2503 0.2503 S
0.7497 0.2510 0.7497 S
0.7497 0.7497 0.2510 S
0.7497 0.7497 0.7497 S
```



Entry 5:
Compound: In2NiS4
Source: the Materials Project
Functional: GGA-PBE
Structure: optimized geometry

Computed properties:
symmetry = Imma (74)
He texted me from class right after the test.
Answer me
(I was trying to work and he is impatient, to say the least) I asked him what was happening.
All of the questions on the quiz
From the same homework
We did last night
Literally, three of the four questions were problems we had worked the night before. Exactly the same problems. He got three of the four questions right. The fourth threw him but I haven’t had a chance for him to show me how he solved it, so I don’t know how he did on that one. But the other three he aced. Sometimes the universe takes a hand. The questions we worked that were on the test were not assigned homework, but problems I had picked at random for him to practice on. He was so stoked, he was beside himself. It made the lack of sleep, the vertigo and the math all worth it.
I vow that by the end of this semester he will believe in his ability to do math again.